Well, it looks like this Monday or Tuesday is going to be very interesting for PMs, according to Fibonacci.  I believe it was W.D. Gann who said:

Time is more important than price“.

We certainly have some cycle whiz’s posting here, but I notice that most of that analysis is based upon average daily, or weekly cycles, or otherwise semi-annual, annual, and multi-year cycles, without any acknowledgment to Fibonacci time cycles.  Thus, cycles that become extended, shortened or even inverted are justified by almost any other cause and effect.  Yet, it was W.D. Gann who once again reminds us:

My calculations are based on the cycle theory and on mathematical sequences…”,


“Every movement in the market is the result of a natural law and of a Cause which exists long before the Effect takes place and can be determined years in advance…

So, if time is more important than price, and Fibonacci is the mathematical sequence underlying all of naturecould it be that Gann was indirectly referring to Fibonacci time cycles as the basis of his calculations? (see how Hurricane Harvey unfolds in accord with Fibonacci perfection)

If so, then it seems to me that at least a “hat-tip” should be given to Fibonacci when engaging in cycle analysis.  To that end, I am going to start off with a stripped down version of my (fib-cycle) chart for GDXJ – which shows just the first fib-cycle set at the bear-market bottom, for junior stocks, in early 2016:

I’m going to challenge the record of any cycle analyst to compete with Senor Fibonacci.  While it’s not perfect, it’s pretty damn close – and I would suggest where one could argue that it is “off” – it rather denotes a period of “neutrality” rather than a recognizable trend.  Remember, there are 3 price movements – up, down and sideways.  If this site allows, you can go back and read my late December, 2016 post where I (or rather Senor Fibonacci) call the December bottom to the day.

As time unfolds, and daily or intermediate cycle bottoms appear, additional fib-cycles are added…but for the chart below, I’m going to add a new fib-cycle for only the major bottoms in late 2016 bottom, and May 2017:

Once again, it sure looks like Senor Fibonacci is driving the bus here, just like he is for the rest of nature.  Looking ahead – we see the convergence of the 2nd & 3rd fib-cycles coming together in early December, right about where “traditional” cycle analysis would expect the 1-year cycle low.

• Between two parts of the piece: data records:
{
  "formula": "K2TeAu",
  "functional": "meta-GGA SCAN",
  "state": "PBEsol geometry",
  "lattice_angstrom": [[0.0000, 3.8578, 3.8578], [3.8578, 0.0000, 3.8578], [3.8578, 3.8578, 0.0000]],
  "species": ["K", "K", "Te", "Au"],
  "frac_coords": [[0.0000, 0.0000, 0.0000], [0.2500, 0.2500, 0.2500], [0.5000, 0.5000, 0.5000], [0.7500, 0.7500, 0.7500]],
  "formation_energy_uncorrected_ev_per_atom": -0.4922,
  "magnetic_moment_mub_per_fu": 0.00,
  "space_group": "F-43m (216)",
  "crystal_system": "cubic"
}

=====

The following is a DFT calculation (PBE) of crystalline K2Rb3Hg3 at its relaxed geometry.

Cell lengths 4.4608, 6.5343, 14.2891 Å; angles 103.22, 98.98, 90.00 degrees
With the nearest neighbours (Å) after each atom.
Fractional positions:
Rb1 0.5000 0.0000 0.0000  8 Hg 3.84-3.96
Rb2 0.6139 0.6139 0.2278  6 Hg 3.84-3.96
Rb3 0.3861 0.3861 0.7722  6 Hg 3.84-3.96
Hg1 0.0000 0.5000 0.0000  8 Rb 3.84-3.96
Hg2 0.1140 0.1140 0.2280  2 K 3.65, 6 Rb 3.84-3.96
Hg3 0.8860 0.8860 0.7720  2 K 3.65, 6 Rb 3.84-3.96
K1 0.7192 0.2192 0.4384  2 Hg 3.65
K2 0.2808 0.7808 0.5616  2 Hg 3.65

## Properties
The polymorph energy (0 for the lowest one) comes out at 37 meV/atom. The formation energy comes out at -0.139 eV per atom.

=====

The following is a PBE-GGA calculation of a relaxed RbSrI3 crystal, from the Alexandria database.

Output
- M_tot: 0.0 μB per formula unit
- Uncorrected formation energy: -1629 meV per atom
- Raw total energy: -3.089 eV/atom
- Fermi-level density of states: 0.000 states/eV/atom

Unit cell a=10.4672 b=4.9071 c=18.4318 alpha=90.00 beta=90.00 gamma=90.00
Last column: nearest neighbours and their distance in Å.
Space group Pnma (No. 62)
Inequivalent atoms, fractional coordinates:
Rb: 0.1052 0.2500 0.1968 (multiplicity 4)  7 I 3.82-3.88
Sr: 0.1911 0.7500 0.4535 (multiplicity 4)  6 I 3.24-3.37
I: 0.0032 0.7500 0.6023 (multiplicity 4)  3 Sr 3.35-3.37
I: 0.1576 0.7500 0.0363 (multiplicity 4)  2 Sr 3.30
I: 0.1757 0.2500 0.7951 (multiplicity 4)  1 Sr 3.24

=====

The following is a DFT calculation (PBE) of a geometry-optimized DyPaZnSi structure.

abc: 4.969 4.969 4.969
angles: 60.00 60.00 60.00
Element x y z (fractional)
Dy 0.000 0.000 0.000
Pa 0.500 0.500 0.500
Zn 0.250 0.250 0.250
Si 0.750 0.750 0.750

Output
The value obtained for the uncorrected energy is -5.407 eV/atom. The volume is 87 Å³/f.u. The calculation puts the raw formation energy at -0.83 eV/f.u. As for the space group: No. 216.

The following is a DFT calculation (PBE) of a geometry-optimized SmDyPa structure.

abc: 4.652 4.652 8.483
angles: 90.00 90.00 90.00
Element x y z (fractional)
Sm 0.250 0.250 0.199
Sm 0.750 0.750 0.801
Dy 0.250 0.250 0.787
Dy 0.750 0.750 0.213
Pa 0.250 0.750 0.500
Pa 0.750 0.250 0.500

Output
The value obtained for the uncorrected energy is -5.992 eV/atom. The volume is 92 Å³/f.u. As for the space group: No. 129.

=====

The following is a DFT calculation (PBE with a Hubbard U) of an optimized crystal structure of KMnBeO3.

Summary:

For perma-bulls:  Am I saying that PMs are destined to trend lower all the way into December, just as the Fed is planning to hike the interest rate?  No – I’m not “saying” anything!  I’m merely placing lines where price instructs.

Of course, the price charts for Gold & Silver are similar, although for Gold & Silver – their major intermediate bottom (I assume) landed in July.  For that reason, I will add one more fib-cycle to GDXJ, at its July bottom:

Which brings us back to this coming Monday, when the latest 21-day fib cycle ends.   After that – it is “open air” time-wise until mid-November.  Certainly, the perma-bulls could argue that a reversal is in order – and I wouldn’t argue with that.  I covered my short positions yesterday.

But its hard to ignore how the fib-cyles are lining up – like raindrops forming concentric circles which flow into larger cycles of water that eventually end into the sea – to what appears to be a major bottom looming towards the end of the year, right in line with the 1-year cycle low proffered by “traditional” cycle analysis.